Data
{
  "formula": "C27H48BCl23I2N2O",
  "method": "the ωB97M-V functional and the def2-TZVPD basis",
  "gap_ev": 8.05,
  "lumo_energy_ev": -1.183,
  "e_above_lowest_ev": 2.665,
  "largest_force_ev_per_a": 7.0,
  "elements": ["I", "I", "Cl", "Cl", "Cl", "Cl", "Cl", "Cl", "Cl", "Cl", "Cl", "Cl", "Cl", "Cl", "Cl", "Cl", "Cl", "Cl", "Cl", "Cl", "Cl", "Cl", "Cl", "Cl", "Cl", "O", "N", "N", "C", "C", "C", "C", "C", "C", "C", "C", "C", "C", "C", "C", "C", "C", "C", "C", "C", "C", "C", "C", "C", "C", "C", "C", "C", "C", "C", "B", "H", "H", "H", "H", "H", "H", "H", "H", "H", "H", "H", "H", "H", "H", "H", "H", "H", "H", "H", "H", "H", "H", "H", "H", "H", "H", "H", "H", "H", "H", "H", "H", "H", "H", "H", "H", "H", "H", "H", "H", "H", "H", "H", "H", "H", "H", "H", "H"],
  "positions_angstrom": [[0.982, -0.836, 0.516], [-1.057, -3.365, 1.318], [3.296, 3.234, 1.733], [-1.053, 9.139, -7.257], [-0.644, -0.192, -7.518], [-5.250, 2.723, 3.397], [0.687, -7.141, -3.513], [1.759, 5.589, 3.641], [-2.896, 7.958, -4.635], [5.780, -6.916, 5.865], [-4.027, -1.858, -2.546], [0.299, -7.572, -0.146], [4.988, 6.628, 3.224], [0.267, 4.264, -8.531], [0.136, -4.227, -1.743], [5.643, 1.970, 3.872], [0.119, -1.322, -3.540], [-2.215, -0.542, 2.454], [-2.082, 5.533, -10.665], [-5.631, 2.288, 6.764], [2.589, 0.816, -7.965], [-4.754, -4.599, 8.323], [-2.419, -5.873, 10.467], [4.649, -3.927, 7.071], [-4.040, 1.044, -4.344], [-0.023, 0.993, 4.237], [2.281, -3.231, 3.647], [-0.931, -2.985, 5.312], [-0.312, 5.607, -10.852], [-5.153, 1.055, 5.570], [2.736, 6.540, 4.787], [5.758, 2.081, 2.098], [0.350, 0.754, -6.382], [-1.831, 7.542, -7.126], [1.626, -8.224, -2.455], [3.666, -5.258, 6.413], [-2.982, -4.531, 8.143], [-0.876, -1.741, 2.808], [-5.423, -1.108, -3.360], [-1.015, -2.347, 4.287], [1.620, -2.320, 3.182], [-1.260, -3.477, -2.556], [-4.311, 1.637, 4.452], [2.533, 0.613, 3.747], [-3.141, 7.603, -6.364], [0.374, 4.368, -10.308], [0.630, -1.145, 2.647], [5.067, 3.317, 1.556], [-0.867, -2.776, -3.840], [-2.304, -5.771, 8.692], [1.301, 1.693, -7.100], [4.254, -6.618, 6.736], [0.783, -8.806, -1.337], [3.685, 7.490, 4.081], [-5.027, -0.408, -4.646], [0.952, 0.162, 3.574], [-1.762, -2.447, -4.372], [-4.580, 0.298, 6.110], [1.356, -9.561, -0.795], [-3.458, 2.197, 4.841], [1.794, 2.346, -6.375], [-2.733, -6.682, 8.271], [-1.969, -4.279, -2.772], [3.182, 0.014, 2.994], [-3.930, 0.833, 3.819], [5.338, 1.167, 1.673], [-3.648, 6.638, -6.420], [3.570, -5.107, 5.336], [-5.895, -0.419, -2.656], [-1.240, -5.750, 8.444], [2.673, -5.169, 6.859], [5.272, 3.419, 0.488], [1.437, 4.392, -10.559], [2.899, 0.446, 4.836], [-0.054, 3.455, -10.727], [-2.012, 7.194, -8.146], [-3.809, 8.363, -6.774], [-1.124, 6.857, -6.655], [3.273, 5.843, 5.434], [-1.732, -2.789, -1.851], [2.572, 1.720, 3.427], [5.414, 4.223, 2.057], [-6.131, -1.910, -3.577], [4.166, 8.143, 4.812], [0.043, 6.513, -10.357], [4.447, -6.729, 7.805], [6.821, 2.113, 1.851], [3.160, 8.117, 3.357], [-2.776, -4.437, 7.075], [2.010, -9.028, -3.086], [-4.463, -1.070, -5.306], [2.036, 7.107, 5.404], [-0.123, -9.278, -1.722], [-5.921, -0.078, -5.179], [2.477, -7.661, -2.065], [0.775, 2.324, -7.823], [-0.304, -3.437, -4.502], [-0.340, 1.329, -5.761], [-6.060, 0.585, 5.187], [-2.626, -3.626, 8.639], [-0.111, 5.702, -11.921], [0.886, 0.054, -5.738], [0.331, 1.920, 4.139], [3.559, -7.404, 6.433]],

Request
It remains to find the line further up that holds "gap_ev", then print that line and all lines after it there.

Written answer
  "gap_ev": 8.05,
  "lumo_energy_ev": -1.183,
  "e_above_lowest_ev": 2.665,
  "largest_force_ev_per_a": 7.0,
  "elements": ["I", "I", "Cl", "Cl", "Cl", "Cl", "Cl", "Cl", "Cl", "Cl", "Cl", "Cl", "Cl", "Cl", "Cl", "Cl", "Cl", "Cl", "Cl", "Cl", "Cl", "Cl", "Cl", "Cl", "Cl", "O", "N", "N", "C", "C", "C", "C", "C", "C", "C", "C", "C", "C", "C", "C", "C", "C", "C", "C", "C", "C", "C", "C", "C", "C", "C", "C", "C", "C", "C", "B", "H", "H", "H", "H", "H", "H", "H", "H", "H", "H", "H", "H", "H", "H", "H", "H", "H", "H", "H", "H", "H", "H", "H", "H", "H", "H", "H", "H", "H", "H", "H", "H", "H", "H", "H", "H", "H", "H", "H", "H", "H", "H", "H", "H", "H", "H", "H", "H"],
  "positions_angstrom": [[0.982, -0.836, 0.516], [-1.057, -3.365, 1.318], [3.296, 3.234, 1.733], [-1.053, 9.139, -7.257], [-0.644, -0.192, -7.518], [-5.250, 2.723, 3.397], [0.687, -7.141, -3.513], [1.759, 5.589, 3.641], [-2.896, 7.958, -4.635], [5.780, -6.916, 5.865], [-4.027, -1.858, -2.546], [0.299, -7.572, -0.146], [4.988, 6.628, 3.224], [0.267, 4.264, -8.531], [0.136, -4.227, -1.743], [5.643, 1.970, 3.872], [0.119, -1.322, -3.540], [-2.215, -0.542, 2.454], [-2.082, 5.533, -10.665], [-5.631, 2.288, 6.764], [2.589, 0.816, -7.965], [-4.754, -4.599, 8.323], [-2.419, -5.873, 10.467], [4.649, -3.927, 7.071], [-4.040, 1.044, -4.344], [-0.023, 0.993, 4.237], [2.281, -3.231, 3.647], [-0.931, -2.985, 5.312], [-0.312, 5.607, -10.852], [-5.153, 1.055, 5.570], [2.736, 6.540, 4.787], [5.758, 2.081, 2.098], [0.350, 0.754, -6.382], [-1.831, 7.542, -7.126], [1.626, -8.224, -2.455], [3.666, -5.258, 6.413], [-2.982, -4.531, 8.143], [-0.876, -1.741, 2.808], [-5.423, -1.108, -3.360], [-1.015, -2.347, 4.287], [1.620, -2.320, 3.182], [-1.260, -3.477, -2.556], [-4.311, 1.637, 4.452], [2.533, 0.613, 3.747], [-3.141, 7.603, -6.364], [0.374, 4.368, -10.308], [0.630, -1.145, 2.647], [5.067, 3.317, 1.556], [-0.867, -2.776, -3.840], [-2.304, -5.771, 8.692], [1.301, 1.693, -7.100], [4.254, -6.618, 6.736], [0.783, -8.806, -1.337], [3.685, 7.490, 4.081], [-5.027, -0.408, -4.646], [0.952, 0.162, 3.574], [-1.762, -2.447, -4.372], [-4.580, 0.298, 6.110], [1.356, -9.561, -0.795], [-3.458, 2.197, 4.841], [1.794, 2.346, -6.375], [-2.733, -6.682, 8.271], [-1.969, -4.279, -2.772], [3.182, 0.014, 2.994], [-3.930, 0.833, 3.819], [5.338, 1.167, 1.673], [-3.648, 6.638, -6.420], [3.570, -5.107, 5.336], [-5.895, -0.419, -2.656], [-1.240, -5.750, 8.444], [2.673, -5.169, 6.859], [5.272, 3.419, 0.488], [1.437, 4.392, -10.559], [2.899, 0.446, 4.836], [-0.054, 3.455, -10.727], [-2.012, 7.194, -8.146], [-3.809, 8.363, -6.774], [-1.124, 6.857, -6.655], [3.273, 5.843, 5.434], [-1.732, -2.789, -1.851], [2.572, 1.720, 3.427], [5.414, 4.223, 2.057], [-6.131, -1.910, -3.577], [4.166, 8.143, 4.812], [0.043, 6.513, -10.357], [4.447, -6.729, 7.805], [6.821, 2.113, 1.851], [3.160, 8.117, 3.357], [-2.776, -4.437, 7.075], [2.010, -9.028, -3.086], [-4.463, -1.070, -5.306], [2.036, 7.107, 5.404], [-0.123, -9.278, -1.722], [-5.921, -0.078, -5.179], [2.477, -7.661, -2.065], [0.775, 2.324, -7.823], [-0.304, -3.437, -4.502], [-0.340, 1.329, -5.761], [-6.060, 0.585, 5.187], [-2.626, -3.626, 8.639], [-0.111, 5.702, -11.921], [0.886, 0.054, -5.738], [0.331, 1.920, 4.139], [3.559, -7.404, 6.433]],